____________
(1)
Density functional theory data (ωB97M-V with the def2-TZVPD basis set) for a single C19H23ClN4O molecule.

Computed properties:
SMILES: O=C(NCCN1CCN(c2ccccc2)CC1)Nc1ccc(Cl)cc1
Net charge: 0
Relative energy (zero: lowest compared OMol25 entry of this formula, charge and spin), kcal/mol: 3.6

Each line ends with the natural charge from an NBO analysis.
Geometry (Å):
N1 -1.949 -0.990 -2.496  -0.623
C1 -3.874 0.952 -1.510  0.145
N2 0.079 -0.177 -0.758  -0.467
H1 4.656 0.207 1.227  0.211
H2 0.469 1.469 0.415  0.200
C2 -5.055 3.032 -1.831  -0.208
C3 -3.863 3.724 -1.685  -0.069
H3 1.351 -1.465 -1.919  0.179
C4 -2.683 3.045 -1.425  -0.215
H4 2.882 1.255 0.567  0.216
C5 -2.687 1.667 -1.330  -0.227
C6 2.314 0.390 0.220  -0.240
C7 -0.122 -1.066 0.376  -0.241
H5 -1.976 -0.056 -2.873  0.399
Cl1 -3.852 5.450 -1.807  0.001
H6 -5.972 3.569 -2.015  0.229
H7 1.654 -1.597 3.699  0.210
H8 -0.764 -1.896 0.087  0.226
H9 -1.765 3.594 -1.283  0.224
C8 1.191 -1.592 0.961  -0.231
H10 5.637 -1.135 5.148  0.212
H11 -0.812 -2.608 -1.997  0.234
N3 -3.920 -0.436 -1.414  -0.637
H12 2.895 -0.122 -0.567  0.169
H13 6.278 -0.067 3.013  0.211
C9 2.671 -1.276 3.530  -0.275
C10 4.909 -1.007 4.361  -0.249
C11 -5.057 1.654 -1.742  -0.233
C12 0.981 0.888 -0.358  -0.208
H14 0.681 -0.031 -2.718  0.193
C13 4.337 -0.246 2.153  -0.302
N4 2.040 -0.479 1.343  -0.469
C14 5.264 -0.407 3.167  -0.187
H15 -0.461 -1.942 -3.603  0.201
H16 1.704 -2.224 0.215  0.168
C15 0.458 -0.828 -2.002  -0.230
C16 -2.907 -1.359 -1.609  0.795
C17 -0.689 -1.683 -2.563  -0.233
H17 1.172 1.540 -1.214  0.198
C18 3.019 -0.679 2.313  0.266
H18 -1.773 1.146 -1.082  0.242
H19 -5.984 1.111 -1.853  0.217
C19 3.604 -1.440 4.533  -0.189
O1 -2.955 -2.452 -1.084  -0.655
H20 -0.642 -0.485 1.145  0.203
H21 0.977 -2.214 1.828  0.218
H22 3.307 -1.903 5.463  0.212
H23 -4.765 -0.834 -1.028  0.412

***

(2)
Density functional theory data (ωB97M-V with the def2-TZVPD basis set) for a molecular structure, C19H23IrN3O7P2S at a distorted geometry.

Computed properties:
Net charge: -1
Relative energy (zero: lowest compared OMol25 entry of this formula, charge and spin), kcal/mol: 33.7

Each line ends with the natural charge from an NBO analysis.
Geometry (Å):
C1 -3.767 2.872 1.878  -0.642
C2 -0.302 0.918 -3.146  -0.121
C3 0.496 -2.261 0.891  0.129
H1 -4.168 2.765 2.886  0.240
O1 -3.364 2.549 -1.133  -1.015
C4 1.734 -0.271 -3.661  -0.202
P1 -2.419 1.536 -0.261  2.374
O2 -1.049 2.127 -0.261  -1.116
H2 4.820 -0.724 3.410  0.205
H3 -2.957 3.601 1.917  0.248
H4 -5.185 0.873 1.024  0.401
N1 -4.277 0.489 1.266  -0.736
H5 -0.016 -2.464 -1.192  0.207
H6 -1.202 -0.891 1.643  0.513
C5 1.675 2.654 0.369  0.051
P2 -2.033 0.815 2.690  2.404
C6 5.011 -1.174 1.317  -0.259
C7 -0.160 -3.022 -0.266  -0.622
S1 3.161 -0.880 -2.866  0.379
H7 -1.233 -3.118 -0.087  0.203
C8 2.563 -0.250 -1.337  0.148
H8 4.931 -1.461 -0.811  0.200
H9 2.059 -0.829 -5.708  0.213
H10 0.679 -3.977 2.199  0.188
H11 5.950 -1.701 1.435  0.204
C9 1.397 -0.347 -5.000  -0.230
N2 2.182 3.668 0.131  -0.548
H12 -0.085 0.167 -6.451  0.207
H13 2.710 0.513 3.141  0.226
C10 3.225 -0.373 -0.090  -0.143
O3 -2.049 -0.712 2.195  -1.090
H14 -3.846 -0.060 0.416  0.496
H15 1.587 -2.248 0.718  0.143
H16 -4.542 3.247 1.202  0.196
C11 0.902 0.356 -2.714  0.101
C12 -3.210 1.548 1.409  -0.634
H17 0.283 -4.016 -0.372  0.185
N3 1.397 0.349 -1.447  -0.403
O4 -0.655 1.402 2.539  -1.111
H18 -2.948 3.421 -1.164  0.500
C13 4.379 -0.620 2.426  -0.176
C14 2.588 0.197 1.029  -0.054
H19 -4.313 -0.079 2.113  0.447
O5 0.022 -0.962 0.937  -0.883
O6 -2.731 0.144 -0.731  -1.132
H20 -1.565 1.284 -4.821  0.214
C15 0.252 -2.972 2.226  -0.630
C16 0.200 0.219 -5.408  -0.214
H21 -0.819 -3.042 2.425  0.209
O7 -2.780 0.933 3.964  -1.154
H22 0.720 -2.407 3.033  0.214
C17 3.183 0.075 2.271  -0.250
C18 4.448 -1.047 0.068  -0.177
Ir1 0.695 0.951 0.666  1.085
H23 -0.944 1.392 -2.421  0.240
C19 -0.634 0.846 -4.483  -0.229

***

(3)
____________

Search the rows further above for the word "H22" and copy each line that has it.

H22 3.307 -1.903 5.463  0.212
H22 0.720 -2.407 3.033  0.214